Job:
Retype the whole of the data further down verbatim.

Entries:
- - -
1.
DFT (ωB97M-V/def2-TZVPD) results for 2 unconnected molecules or ions with the total composition C4H12 at a distorted geometry.

Properties
SMILES: CC.CC
ΔE to the lowest compared entry with this formula, charge and spin, eV: 1.231
HOMO, eV: -11.368
HOMO-LUMO gap, Ha: 0.459

Last column: Mulliken charge in e.
Atoms and positions in Å:
C  -0.79  -0.05  -1.77  -0.578
C  -2.09  0.97  -1.50  -0.858
H  -0.10  0.64  -2.32  0.214
H  -0.26  -0.43  -0.86  -0.054
H  -1.10  -0.82  -2.35  0.405
H  -1.67  1.91  -1.27  0.281
H  -2.80  0.92  -2.33  0.319
H  -2.54  0.57  -0.57  0.259
C  1.36  0.29  1.53  -0.547
C  1.54  -1.22  1.70  -0.812
H  0.49  0.39  0.83  0.002
H  1.02  0.84  2.50  0.253
H  2.18  0.75  1.27  0.315
H  0.85  -1.64  2.46  0.228
H  1.35  -1.68  0.69  0.220
H  2.47  -1.41  2.12  0.353

2.
DFT (ωB97M-V/def2-TZVPD) results for 2 unconnected molecules or ions with the total composition C4H12 at a distorted geometry.

Properties
SMILES: CC.CC
ΔE to the lowest compared entry with this formula, charge and spin, eV: 1.404
HOMO, eV: -11.289
HOMO-LUMO gap, Ha: 0.454

Last column: Mulliken charge in e.
Atoms and positions in Å:
C  0.33  -1.21  -0.58  -0.801
C  0.31  -2.72  -0.64  -1.146
H  0.55  -0.79  -1.55  0.325
H  -0.54  -0.71  -0.28  0.367
H  1.15  -0.99  0.06  0.317
H  0.24  -3.19  0.37  0.277
H  1.13  -3.28  -1.16  0.306
H  -0.40  -3.07  -1.30  0.376
C  -0.01  1.62  0.09  -0.832
C  -0.70  2.36  1.25  -1.033
H  0.76  2.20  -0.39  0.423
H  0.51  0.77  0.51  0.128
H  -0.53  1.29  -0.73  0.380
H  -0.06  3.04  1.59  0.344
H  -1.50  3.06  0.93  0.276
H  -1.25  1.63  1.84  0.293

3.
DFT (ωB97M-V/def2-TZVPD) results for 2 unconnected molecules or ions with the total composition C4H12 at a distorted geometry.

Properties
SMILES: CCC.C
ΔE to the lowest compared entry with this formula, charge and spin, eV: 0.152
HOMO, eV: -11.439
HOMO-LUMO gap, Ha: 0.467

Last column: Mulliken charge in e.
Atoms and positions in Å:
C  2.34  3.80  -4.79  -0.908
H  1.39  3.31  -5.03  0.232
H  2.26  4.07  -3.74  0.227
H  2.56  4.60  -5.49  0.218
H  3.07  3.00  -4.88  0.231
C  0.09  -1.14  2.35  -1.062
C  -0.99  -1.94  1.60  -0.138
C  -2.24  -2.09  2.43  -1.143
H  0.83  -0.69  1.69  0.310
H  0.67  -1.73  3.06  0.294
H  -0.41  -0.36  2.94  0.287
H  -0.54  -2.92  1.43  0.213
H  -1.25  -1.45  0.66  0.285
H  -2.10  -2.79  3.25  0.307
H  -2.67  -1.15  2.76  0.340
H  -3.02  -2.53  1.78  0.308


[1]
DFT (ωB97M-V/def2-TZVPD) results for a molecular structure, C13H31FN3O6PS.

```
56
C13H31FN3O6PS, DFT ωB97M-V/def2-TZVPD
S -1.800 2.518 -3.697
P 2.357 -0.711 1.077
F -4.471 2.889 -0.606
O -1.987 -1.733 -3.311
O -2.639 2.739 -2.337
O -1.819 0.927 -3.707
O -2.597 3.059 -4.745
O 1.018 -0.894 0.464
O -0.468 2.991 -3.610
N 2.075 -0.928 2.738
N 2.672 0.922 0.711
N 4.023 -1.106 1.069
C -5.166 0.839 1.172
C -2.531 0.469 -2.506
C -3.016 -0.950 -2.747
C 4.324 -2.476 1.539
C -4.111 0.687 0.045
C 1.390 -2.152 3.131
C -3.520 1.583 -2.316
C -1.228 -2.385 -2.311
C 2.697 -0.189 3.820
C 3.254 1.882 1.627
C 1.762 1.584 -0.218
C 4.654 -0.959 -0.264
C -4.481 1.589 -1.109
H 2.250 2.465 -0.641
H 4.214 -1.631 -1.008
H -3.873 -1.004 -3.422
H 3.748 -3.243 1.011
H 0.832 1.908 0.267
H 5.718 -1.179 -0.184
H 2.410 -0.620 4.778
H 0.598 -2.388 2.419
H 3.793 -0.204 3.784
H -4.892 1.605 1.891
H 4.134 -2.567 2.607
H -5.386 -0.118 1.637
H 2.059 -3.022 3.183
H 2.503 2.319 2.296
H 2.366 0.849 3.841
H -6.104 1.164 0.712
H 3.713 2.699 1.064
H -1.724 0.429 -1.770
H -5.499 1.409 -1.455
H -4.116 -0.366 -0.228
H 5.383 -2.685 1.393
H -1.799 -3.155 -1.785
H 0.916 -2.034 4.105
H -0.386 -2.877 -2.795
H -4.129 1.725 -3.215
H -0.788 -1.663 -1.616
H 1.503 0.933 -1.048
H 4.052 1.439 2.220
H -3.305 -1.411 -1.800
H -3.147 0.960 0.473
H 4.561 0.062 -0.623
```
- - -

Response:
1.
DFT (ωB97M-V/def2-TZVPD) results for 2 unconnected molecules or ions with the total composition C4H12 at a distorted geometry.

Properties
SMILES: CC.CC
ΔE to the lowest compared entry with this formula, charge and spin, eV: 1.231
HOMO, eV: -11.368
HOMO-LUMO gap, Ha: 0.459

Last column: Mulliken charge in e.
Atoms and positions in Å:
C  -0.79  -0.05  -1.77  -0.578
C  -2.09  0.97  -1.50  -0.858
H  -0.10  0.64  -2.32  0.214
H  -0.26  -0.43  -0.86  -0.054
H  -1.10  -0.82  -2.35  0.405
H  -1.67  1.91  -1.27  0.281
H  -2.80  0.92  -2.33  0.319
H  -2.54  0.57  -0.57  0.259
C  1.36  0.29  1.53  -0.547
C  1.54  -1.22  1.70  -0.812
H  0.49  0.39  0.83  0.002
H  1.02  0.84  2.50  0.253
H  2.18  0.75  1.27  0.315
H  0.85  -1.64  2.46  0.228
H  1.35  -1.68  0.69  0.220
H  2.47  -1.41  2.12  0.353

2.
DFT (ωB97M-V/def2-TZVPD) results for 2 unconnected molecules or ions with the total composition C4H12 at a distorted geometry.

Properties
SMILES: CC.CC
ΔE to the lowest compared entry with this formula, charge and spin, eV: 1.404
HOMO, eV: -11.289
HOMO-LUMO gap, Ha: 0.454

Last column: Mulliken charge in e.
Atoms and positions in Å:
C  0.33  -1.21  -0.58  -0.801
C  0.31  -2.72  -0.64  -1.146
H  0.55  -0.79  -1.55  0.325
H  -0.54  -0.71  -0.28  0.367
H  1.15  -0.99  0.06  0.317
H  0.24  -3.19  0.37  0.277
H  1.13  -3.28  -1.16  0.306
H  -0.40  -3.07  -1.30  0.376
C  -0.01  1.62  0.09  -0.832
C  -0.70  2.36  1.25  -1.033
H  0.76  2.20  -0.39  0.423
H  0.51  0.77  0.51  0.128
H  -0.53  1.29  -0.73  0.380
H  -0.06  3.04  1.59  0.344
H  -1.50  3.06  0.93  0.276
H  -1.25  1.63  1.84  0.293

3.
DFT (ωB97M-V/def2-TZVPD) results for 2 unconnected molecules or ions with the total composition C4H12 at a distorted geometry.

Properties
SMILES: CCC.C
ΔE to the lowest compared entry with this formula, charge and spin, eV: 0.152
HOMO, eV: -11.439
HOMO-LUMO gap, Ha: 0.467

Last column: Mulliken charge in e.
Atoms and positions in Å:
C  2.34  3.80  -4.79  -0.908
H  1.39  3.31  -5.03  0.232
H  2.26  4.07  -3.74  0.227
H  2.56  4.60  -5.49  0.218
H  3.07  3.00  -4.88  0.231
C  0.09  -1.14  2.35  -1.062
C  -0.99  -1.94  1.60  -0.138
C  -2.24  -2.09  2.43  -1.143
H  0.83  -0.69  1.69  0.310
H  0.67  -1.73  3.06  0.294
H  -0.41  -0.36  2.94  0.287
H  -0.54  -2.92  1.43  0.213
H  -1.25  -1.45  0.66  0.285
H  -2.10  -2.79  3.25  0.307
H  -2.67  -1.15  2.76  0.340
H  -3.02  -2.53  1.78  0.308


[1]
DFT (ωB97M-V/def2-TZVPD) results for a molecular structure, C13H31FN3O6PS.

```
56
C13H31FN3O6PS, DFT ωB97M-V/def2-TZVPD
S -1.800 2.518 -3.697
P 2.357 -0.711 1.077
F -4.471 2.889 -0.606
O -1.987 -1.733 -3.311
O -2.639 2.739 -2.337
O -1.819 0.927 -3.707
O -2.597 3.059 -4.745
O 1.018 -0.894 0.464
O -0.468 2.991 -3.610
N 2.075 -0.928 2.738
N 2.672 0.922 0.711
N 4.023 -1.106 1.069
C -5.166 0.839 1.172
C -2.531 0.469 -2.506
C -3.016 -0.950 -2.747
C 4.324 -2.476 1.539
C -4.111 0.687 0.045
C 1.390 -2.152 3.131
C -3.520 1.583 -2.316
C -1.228 -2.385 -2.311
C 2.697 -0.189 3.820
C 3.254 1.882 1.627
C 1.762 1.584 -0.218
C 4.654 -0.959 -0.264
C -4.481 1.589 -1.109
H 2.250 2.465 -0.641
H 4.214 -1.631 -1.008
H -3.873 -1.004 -3.422
H 3.748 -3.243 1.011
H 0.832 1.908 0.267
H 5.718 -1.179 -0.184
H 2.410 -0.620 4.778
H 0.598 -2.388 2.419
H 3.793 -0.204 3.784
H -4.892 1.605 1.891
H 4.134 -2.567 2.607
H -5.386 -0.118 1.637
H 2.059 -3.022 3.183
H 2.503 2.319 2.296
H 2.366 0.849 3.841
H -6.104 1.164 0.712
H 3.713 2.699 1.064
H -1.724 0.429 -1.770
H -5.499 1.409 -1.455
H -4.116 -0.366 -0.228
H 5.383 -2.685 1.393
H -1.799 -3.155 -1.785
H 0.916 -2.034 4.105
H -0.386 -2.877 -2.795
H -4.129 1.725 -3.215
H -0.788 -1.663 -1.616
H 1.503 0.933 -1.048
H 4.052 1.439 2.220
H -3.305 -1.411 -1.800
H -3.147 0.960 0.473
H 4.561 0.062 -0.623
```